[Data]
'''
Computed, not measured: a relaxed MoCl3O crystal at the GGA+U level of DFT.

Cell and atoms, written as POSCAR:
```
MoCl3O
1.0
14.275 0.000 0.000
0.000 6.222 0.000
0.000 0.251 6.249
Mo Cl O
4 12 4
Cartesian
9.489 2.131 6.054 Mo
2.351 1.231 0.195 Mo
4.786 4.342 0.195 Mo
11.924 5.243 6.054 Mo
13.253 4.207 4.474 Cl
6.116 5.378 1.775 Cl
1.021 2.267 1.775 Cl
8.159 1.096 4.474 Cl
9.814 3.989 4.598 Cl
2.677 5.596 1.651 Cl
4.461 2.485 1.651 Cl
11.598 0.878 4.598 Cl
11.507 2.817 0.993 Cl
4.370 0.545 5.257 Cl
2.768 3.657 5.257 Cl
9.905 5.928 0.993 Cl
8.365 2.428 0.940 O
1.227 0.935 5.309 O
5.910 4.046 5.309 O
13.048 5.539 0.940 O
```

Properties
- Energy of formation: -1.0380 eV/atom


No. 1
The following is a DFT calculation (GGA-PBE) of a relaxed Dy2MgS4 crystal.

a b c (Å): 7.232 8.372 12.916
angles (deg): 99.54 95.65 90.01
Space group P-1 (No. 2)
One atom of each set of equivalent atoms:
Dy 0.132 0.445 0.304 (multiplicity 2)
Dy 0.134 0.957 0.308 (multiplicity 2)
Dy 0.259 0.128 0.001 (multiplicity 2)
Dy 0.365 0.300 0.694 (multiplicity 2)
Mg 0.251 0.622 0.996 (multiplicity 2)
Mg 0.366 0.800 0.700 (multiplicity 2)
S 0.096 0.407 0.102 (multiplicity 2)
S 0.106 0.897 0.104 (multiplicity 2)
S 0.195 0.543 0.629 (multiplicity 2)
S 0.196 0.021 0.629 (multiplicity 2)
S 0.309 0.718 0.375 (multiplicity 2)
S 0.330 0.219 0.372 (multiplicity 2)
S 0.393 0.845 0.893 (multiplicity 2)
S 0.406 0.355 0.897 (multiplicity 2)

Summary:
The value obtained for the calculated density is 4.1 g cm⁻³. As for the energy above the most stable polymorph in this dataset: 192 meV per atom. Its formation energy is -1977.3 meV/atom.

No. 2
The following is a DFT calculation (GGA-PBE) of a relaxed Dy2Si9B36C crystal.

a b c (Å): 12.504 10.113 8.012
angles (deg): 90.00 105.48 90.00
Space group Cm (No. 8)
One atom of each set of equivalent atoms:
Dy 0.000 0.250 0.000 (multiplicity 4)
Si 0.013 0.000 0.837 (multiplicity 2)
Si 0.178 0.000 0.073 (multiplicity 2)
Si 0.211 0.195 0.246 (multiplicity 4)
Si 0.289 0.194 0.754 (multiplicity 4)
Si 0.294 0.500 0.457 (multiplicity 2)
Si 0.320 0.000 0.929 (multiplicity 2)
Si 0.487 0.000 0.161 (multiplicity 2)
B 0.014 0.157 0.676 (multiplicity 4)
B 0.037 0.086 0.481 (multiplicity 4)
B 0.054 0.325 0.700 (multiplicity 4)
B 0.092 0.220 0.378 (multiplicity 4)
B 0.103 0.371 0.518 (multiplicity 4)
B 0.124 0.500 0.055 (multiplicity 2)
B 0.132 0.207 0.607 (multiplicity 4)
B 0.139 0.410 0.871 (multiplicity 4)
B 0.214 0.355 0.081 (multiplicity 4)
B 0.233 0.500 0.775 (multiplicity 2)
B 0.255 0.500 0.204 (multiplicity 2)
B 0.283 0.357 0.910 (multiplicity 4)
B 0.357 0.410 0.126 (multiplicity 4)
B 0.370 0.200 0.394 (multiplicity 4)
B 0.372 0.500 0.936 (multiplicity 2)
B 0.401 0.354 0.495 (multiplicity 4)
B 0.410 0.214 0.626 (multiplicity 4)
B 0.446 0.322 0.304 (multiplicity 4)
B 0.463 0.084 0.523 (multiplicity 4)
B 0.490 0.152 0.329 (multiplicity 4)
C 0.183 0.500 0.566 (multiplicity 2)

Summary:
The value obtained for the calculated density is 3.3 g cm⁻³. Its formation energy is -206.9 meV/atom.

No. 3
The following is a DFT calculation (GGA-PBE) of a relaxed LiNb7O12 crystal.

a b c (Å): 10.871 9.604 10.408
angles (deg): 90.00 104.76 90.00
Space group P2_1/c (No. 14)
One atom of each set of equivalent atoms:
Li 0.080 0.069 0.472 (multiplicity 4)
Nb 0.078 0.123 0.810 (multiplicity 4)
Nb 0.087 0.630 0.463 (multiplicity 4)
Nb 0.218 0.623 0.255 (multiplicity 4)
Nb 0.222 0.119 0.093 (multiplicity 4)
Nb 0.350 0.132 0.882 (multiplicity 4)
Nb 0.355 0.630 0.538 (multiplicity 4)
Nb 0.499 0.609 0.842 (multiplicity 4)
O 0.070 0.503 0.634 (multiplicity 4)
O 0.071 0.238 0.982 (multiplicity 4)
O 0.074 0.745 0.297 (multiplicity 4)
O 0.076 0.002 0.646 (multiplicity 4)
O 0.214 0.248 0.266 (multiplicity 4)
O 0.220 0.749 0.088 (multiplicity 4)
O 0.360 0.008 0.711 (multiplicity 4)
O 0.360 0.249 0.553 (multiplicity 4)
O 0.362 0.505 0.715 (multiplicity 4)
O 0.365 0.748 0.374 (multiplicity 4)
O 0.500 0.000 0.000 (multiplicity 2)
O 0.500 0.000 0.500 (multiplicity 2)
'''
[Work order]
The reader should echo everything further up character by character.
[Response]
Computed, not measured: a relaxed MoCl3O crystal at the GGA+U level of DFT.

Cell and atoms, written as POSCAR:
```
MoCl3O
1.0
14.275 0.000 0.000
0.000 6.222 0.000
0.000 0.251 6.249
Mo Cl O
4 12 4
Cartesian
9.489 2.131 6.054 Mo
2.351 1.231 0.195 Mo
4.786 4.342 0.195 Mo
11.924 5.243 6.054 Mo
13.253 4.207 4.474 Cl
6.116 5.378 1.775 Cl
1.021 2.267 1.775 Cl
8.159 1.096 4.474 Cl
9.814 3.989 4.598 Cl
2.677 5.596 1.651 Cl
4.461 2.485 1.651 Cl
11.598 0.878 4.598 Cl
11.507 2.817 0.993 Cl
4.370 0.545 5.257 Cl
2.768 3.657 5.257 Cl
9.905 5.928 0.993 Cl
8.365 2.428 0.940 O
1.227 0.935 5.309 O
5.910 4.046 5.309 O
13.048 5.539 0.940 O
```

Properties
- Energy of formation: -1.0380 eV/atom


No. 1
The following is a DFT calculation (GGA-PBE) of a relaxed Dy2MgS4 crystal.

a b c (Å): 7.232 8.372 12.916
angles (deg): 99.54 95.65 90.01
Space group P-1 (No. 2)
One atom of each set of equivalent atoms:
Dy 0.132 0.445 0.304 (multiplicity 2)
Dy 0.134 0.957 0.308 (multiplicity 2)
Dy 0.259 0.128 0.001 (multiplicity 2)
Dy 0.365 0.300 0.694 (multiplicity 2)
Mg 0.251 0.622 0.996 (multiplicity 2)
Mg 0.366 0.800 0.700 (multiplicity 2)
S 0.096 0.407 0.102 (multiplicity 2)
S 0.106 0.897 0.104 (multiplicity 2)
S 0.195 0.543 0.629 (multiplicity 2)
S 0.196 0.021 0.629 (multiplicity 2)
S 0.309 0.718 0.375 (multiplicity 2)
S 0.330 0.219 0.372 (multiplicity 2)
S 0.393 0.845 0.893 (multiplicity 2)
S 0.406 0.355 0.897 (multiplicity 2)

Summary:
The value obtained for the calculated density is 4.1 g cm⁻³. As for the energy above the most stable polymorph in this dataset: 192 meV per atom. Its formation energy is -1977.3 meV/atom.

No. 2
The following is a DFT calculation (GGA-PBE) of a relaxed Dy2Si9B36C crystal.

a b c (Å): 12.504 10.113 8.012
angles (deg): 90.00 105.48 90.00
Space group Cm (No. 8)
One atom of each set of equivalent atoms:
Dy 0.000 0.250 0.000 (multiplicity 4)
Si 0.013 0.000 0.837 (multiplicity 2)
Si 0.178 0.000 0.073 (multiplicity 2)
Si 0.211 0.195 0.246 (multiplicity 4)
Si 0.289 0.194 0.754 (multiplicity 4)
Si 0.294 0.500 0.457 (multiplicity 2)
Si 0.320 0.000 0.929 (multiplicity 2)
Si 0.487 0.000 0.161 (multiplicity 2)
B 0.014 0.157 0.676 (multiplicity 4)
B 0.037 0.086 0.481 (multiplicity 4)
B 0.054 0.325 0.700 (multiplicity 4)
B 0.092 0.220 0.378 (multiplicity 4)
B 0.103 0.371 0.518 (multiplicity 4)
B 0.124 0.500 0.055 (multiplicity 2)
B 0.132 0.207 0.607 (multiplicity 4)
B 0.139 0.410 0.871 (multiplicity 4)
B 0.214 0.355 0.081 (multiplicity 4)
B 0.233 0.500 0.775 (multiplicity 2)
B 0.255 0.500 0.204 (multiplicity 2)
B 0.283 0.357 0.910 (multiplicity 4)
B 0.357 0.410 0.126 (multiplicity 4)
B 0.370 0.200 0.394 (multiplicity 4)
B 0.372 0.500 0.936 (multiplicity 2)
B 0.401 0.354 0.495 (multiplicity 4)
B 0.410 0.214 0.626 (multiplicity 4)
B 0.446 0.322 0.304 (multiplicity 4)
B 0.463 0.084 0.523 (multiplicity 4)
B 0.490 0.152 0.329 (multiplicity 4)
C 0.183 0.500 0.566 (multiplicity 2)

Summary:
The value obtained for the calculated density is 3.3 g cm⁻³. Its formation energy is -206.9 meV/atom.

No. 3
The following is a DFT calculation (GGA-PBE) of a relaxed LiNb7O12 crystal.

a b c (Å): 10.871 9.604 10.408
angles (deg): 90.00 104.76 90.00
Space group P2_1/c (No. 14)
One atom of each set of equivalent atoms:
Li 0.080 0.069 0.472 (multiplicity 4)
Nb 0.078 0.123 0.810 (multiplicity 4)
Nb 0.087 0.630 0.463 (multiplicity 4)
Nb 0.218 0.623 0.255 (multiplicity 4)
Nb 0.222 0.119 0.093 (multiplicity 4)
Nb 0.350 0.132 0.882 (multiplicity 4)
Nb 0.355 0.630 0.538 (multiplicity 4)
Nb 0.499 0.609 0.842 (multiplicity 4)
O 0.070 0.503 0.634 (multiplicity 4)
O 0.071 0.238 0.982 (multiplicity 4)
O 0.074 0.745 0.297 (multiplicity 4)
O 0.076 0.002 0.646 (multiplicity 4)
O 0.214 0.248 0.266 (multiplicity 4)
O 0.220 0.749 0.088 (multiplicity 4)
O 0.360 0.008 0.711 (multiplicity 4)
O 0.360 0.249 0.553 (multiplicity 4)
O 0.362 0.505 0.715 (multiplicity 4)
O 0.365 0.748 0.374 (multiplicity 4)
O 0.500 0.000 0.000 (multiplicity 2)
O 0.500 0.000 0.500 (multiplicity 2)